_Material_
-- begin --
Theoretical powder XRD pattern
Compound: Li4Co3O7
Radiation: Cu Ka
Structure: DFT lattice parameters and positions (GGA+U)
Peak positions follow from Bragg's law for the DFT cell and can differ from measured ones.

Principal peaks in the range 2θ from 10° to 80°, most intense first:
2θ (°)  Rel. int.  index
18.5  100  0 1 -1
42.0  32  1 1 -4
44.2  26  1 -1 5
45.2  24  0 2 5
34.9  19  1 0 -3
36.4  13  1 0 4
37.2  11  0 1 6
47.7  10  0 1 -8

Structural model:
```
Li4Co3O7
1.0
2.9805 0.0000 0.0000
0.1160 5.0301 0.0000
0.7695 0.0472 16.5255
Li Co O
8 6 14
Direct
0.0000 0.0000 0.0000 Li
0.0666 0.3539 0.8569 Li
0.2148 0.0711 0.5716 Li
0.3554 0.7864 0.2858 Li
0.5000 0.5000 0.0000 Li
0.6446 0.2136 0.7142 Li
0.7852 0.9289 0.4284 Li
0.9334 0.6461 0.1431 Li
0.1524 0.7186 0.7149 Co
0.2820 0.4294 0.4279 Co
0.4365 0.1389 0.1371 Co
0.5635 0.8611 0.8629 Co
0.7180 0.5706 0.5721 Co
0.8476 0.2814 0.2851 Co
0.0047 0.6884 0.9226 O
0.1405 0.0118 0.7862 O
0.1909 0.4151 0.6448 O
0.2467 0.7311 0.4990 O
0.2836 0.1261 0.3567 O
0.4124 0.4288 0.2144 O
0.4610 0.8504 0.0805 O
0.5390 0.1496 0.9195 O
0.5876 0.5712 0.7856 O
0.7164 0.8739 0.6433 O
0.7533 0.2689 0.5010 O
0.8091 0.5849 0.3552 O
0.8595 0.9882 0.2138 O
0.9953 0.3116 0.0774 O
```



Theoretical powder XRD pattern
Compound: LiVF4
Radiation: Cu Ka
Structure: DFT lattice parameters and positions (GGA+U)
Peak positions follow from Bragg's law for the DFT cell and can differ from measured ones.

Principal peaks in the range 2θ from 10° to 80°, most intense first:
2θ (°)  Rel. int.  index
16.2  100  2 0 0
24.4  88  1 0 2
23.5  53  0 2 0
28.7  28  2 2 0
55.9  27  6 2 0
49.9  19  6 0 0
34.1  18  1 2 2
53.8  16  5 2 2

Structural model:
```
LiVF4
1.0
10.9535 0.0000 0.0000
0.0000 7.5600 0.0000
0.0000 0.0000 7.7492
Li V F
8 8 32
Direct
0.0085 0.2500 0.0100 Li
0.0180 0.2500 0.4609 Li
0.4820 0.7500 0.9609 Li
0.4915 0.7500 0.5100 Li
0.5085 0.2500 0.4900 Li
0.5180 0.2500 0.0391 Li
0.9820 0.7500 0.5391 Li
0.9915 0.7500 0.9900 Li
0.2461 0.9999 0.6101 V
0.2461 0.5001 0.6101 V
0.2539 0.0001 0.1101 V
0.2539 0.4999 0.1101 V
0.7461 0.9999 0.8899 V
0.7461 0.5001 0.8899 V
0.7539 0.0001 0.3899 V
0.7539 0.4999 0.3899 V
0.0780 0.5680 0.6279 F
0.0780 0.9320 0.6279 F
0.0884 0.5691 0.0858 F
0.0884 0.9309 0.0858 F
0.1787 0.2500 0.5579 F
0.1819 0.2500 0.1470 F
0.2452 0.5558 0.3589 F
0.2452 0.9442 0.3589 F
0.2548 0.0558 0.8589 F
0.2548 0.4442 0.8589 F
0.3181 0.7500 0.6470 F
0.3213 0.7500 0.0579 F
0.4116 0.0691 0.5858 F
0.4116 0.4309 0.5858 F
0.4220 0.0680 0.1279 F
0.4220 0.4320 0.1279 F
0.5780 0.5680 0.8721 F
0.5780 0.9320 0.8721 F
0.5884 0.5691 0.4142 F
0.5884 0.9309 0.4142 F
0.6787 0.2500 0.9421 F
0.6819 0.2500 0.3530 F
0.7452 0.5558 0.1411 F
0.7452 0.9442 0.1411 F
0.7548 0.0558 0.6411 F
0.7548 0.4442 0.6411 F
0.8181 0.7500 0.8530 F
0.8213 0.7500 0.4421 F
0.9116 0.0691 0.9142 F
0.9116 0.4309 0.9142 F
0.9220 0.0680 0.3721 F
0.9220 0.4320 0.3721 F
```


1.
The following is a calculated powder X-ray diffraction pattern of Cs2FeHgI6. It was derived from a cell relaxed with GGA-PBE, using Cu Kα (weighted mean of Kα1 and Kα2).
No peak broadening, texture or thermal motion is included.

Cell and atoms:
a b c (Å): 8.416 8.416 12.107
angles (deg): 90.00 90.00 90.00
Space group I4/mmm (No. 139)
Unique sites:
1 Cs 0.000 0.500 0.250 (multiplicity 4)
2 Fe 0.000 0.000 0.000 (multiplicity 2)
3 Hg 0.000 0.000 0.500 (multiplicity 2)
4 I 0.000 0.000 0.222 (multiplicity 4)
5 I 0.243 0.243 0.000 (multiplicity 8)

Top 10 peaks for 2θ from 10° to 90°, low angle first:
- 14.9 deg, rel. 21, (1 1 0)
- 20.9 deg, rel. 24, (1 1 2)
- 25.8 deg, rel. 100, (2 0 2)
- 29.5 deg, rel. 48, (0 0 4)
- 30.0 deg, rel. 99, (2 2 0)
- 42.6 deg, rel. 69, (2 2 4)
- 43.0 deg, rel. 37, (4 0 0)
- 50.8 deg, rel. 29, (4 2 2)
- 53.0 deg, rel. 36, (4 0 4)
- 78.5 deg, rel. 22, (6 2 4)

***

2.
The following is a calculated powder X-ray diffraction pattern of CsFe2I6. It was derived from a cell relaxed with GGA-PBE, using Cu Kα (weighted mean of Kα1 and Kα2).
-- stop --
_What to do_
Next, give back the lines further above from the one with "0.5716 Li" to the one with "0.2539 0.4999" character by character.
_Completed_
0.2148 0.0711 0.5716 Li
0.3554 0.7864 0.2858 Li
0.5000 0.5000 0.0000 Li
0.6446 0.2136 0.7142 Li
0.7852 0.9289 0.4284 Li
0.9334 0.6461 0.1431 Li
0.1524 0.7186 0.7149 Co
0.2820 0.4294 0.4279 Co
0.4365 0.1389 0.1371 Co
0.5635 0.8611 0.8629 Co
0.7180 0.5706 0.5721 Co
0.8476 0.2814 0.2851 Co
0.0047 0.6884 0.9226 O
0.1405 0.0118 0.7862 O
0.1909 0.4151 0.6448 O
0.2467 0.7311 0.4990 O
0.2836 0.1261 0.3567 O
0.4124 0.4288 0.2144 O
0.4610 0.8504 0.0805 O
0.5390 0.1496 0.9195 O
0.5876 0.5712 0.7856 O
0.7164 0.8739 0.6433 O
0.7533 0.2689 0.5010 O
0.8091 0.5849 0.3552 O
0.8595 0.9882 0.2138 O
0.9953 0.3116 0.0774 O
```



Theoretical powder XRD pattern
Compound: LiVF4
Radiation: Cu Ka
Structure: DFT lattice parameters and positions (GGA+U)
Peak positions follow from Bragg's law for the DFT cell and can differ from measured ones.

Principal peaks in the range 2θ from 10° to 80°, most intense first:
2θ (°)  Rel. int.  index
16.2  100  2 0 0
24.4  88  1 0 2
23.5  53  0 2 0
28.7  28  2 2 0
55.9  27  6 2 0
49.9  19  6 0 0
34.1  18  1 2 2
53.8  16  5 2 2

Structural model:
```
LiVF4
1.0
10.9535 0.0000 0.0000
0.0000 7.5600 0.0000
0.0000 0.0000 7.7492
Li V F
8 8 32
Direct
0.0085 0.2500 0.0100 Li
0.0180 0.2500 0.4609 Li
0.4820 0.7500 0.9609 Li
0.4915 0.7500 0.5100 Li
0.5085 0.2500 0.4900 Li
0.5180 0.2500 0.0391 Li
0.9820 0.7500 0.5391 Li
0.9915 0.7500 0.9900 Li
0.2461 0.9999 0.6101 V
0.2461 0.5001 0.6101 V
0.2539 0.0001 0.1101 V
0.2539 0.4999 0.1101 V